Source:
/*
Density functional theory data (PBE-GGA) for a geometry-optimized ErFe10Mo2 structure.

a = 4.740 Å, b = 8.521 Å, c = 8.548 Å
α = 90.00°, β = 90.00°, γ = 90.00°
Space group Immm (No. 71)
Symmetry-distinct sites (fractional):
1 Er 0.000 0.000 0.000 [2 per cell]
2 Fe 0.000 0.282 0.500 [4 per cell]
3 Fe 0.000 0.359 0.000 [4 per cell]
4 Fe 0.000 0.500 0.278 [4 per cell]
5 Fe 0.250 0.250 0.250 [8 per cell]
6 Mo 0.000 0.000 0.357 [4 per cell]

## Properties
DFT formation energy in meV per atom: -14
M_tot in μB per atom: 1.4468

=====

VASP calculation (PBE+U) on crystalline Li9Mn7O16 at its relaxed geometry.

Computed properties:
Relative energy among the computed polymorphs   8 meV per atom
Energy of formation from the pure elements   -206.2 kJ/mol of atoms

Lattice parameters (Å, degrees): 5.0946 7.6934 8.1335 79.98 86.06 72.64
Last column: nearest neighbours and their distance in Å.
Element x y z (fractional)
Li: 0.0000 0.0000 0.0000  6 O 2.08-2.26
Li: 0.4854 0.9391 0.1821  5 O 2.09-2.23
Li: 0.4902 0.6933 0.9389  6 O 2.05-2.25
Li: 0.4931 0.4381 0.6997  5 O 2.00-2.18
Li: 0.4987 0.8131 0.5669  6 O 2.13-2.21
Li: 0.5013 0.1869 0.4331  6 O 2.13-2.21
Li: 0.5069 0.5619 0.3003  5 O 2.00-2.18
Li: 0.5098 0.3067 0.0611  6 O 2.05-2.25
Li: 0.5146 0.0609 0.8179  5 O 2.09-2.23
Mn: 0.0000 0.5000 0.5000  4 O 1.97-1.99
Mn: 0.0013 0.8767 0.3685  5 O 1.95-2.17
Mn: 0.0043 0.2479 0.2447  6 O 1.94-2.05
Mn: 0.0062 0.6279 0.1228  4 O 1.91-2.00
Mn: 0.9938 0.3721 0.8772  4 O 1.91-2.00
Mn: 0.9957 0.7521 0.7553  6 O 1.94-2.05
Mn: 0.9987 0.1233 0.6315  5 O 1.95-2.17
O: 0.2083 0.6684 0.5452  3 Mn 1.99-2.05, 2 Li 2.13-2.18
O: 0.2161 0.1764 0.0459  2 Mn 1.95-1.98, 3 Li 2.05-2.11
O: 0.2305 0.4064 0.2726  2 Mn 1.96-2.00, 2 Li 2.13-2.15
O: 0.2296 0.5362 0.8902  2 Mn 1.94-2.00, 2 Li 2.07-2.14
O: 0.2314 0.0344 0.3896  2 Mn 1.95-1.96, 2 Li 2.14-2.15
O: 0.2314 0.9056 0.7693  2 Mn 1.94-1.95, 2 Li 2.12-2.14
O: 0.2342 0.2829 0.6421  2 Mn 1.97, 2 Li 2.15-2.19
O: 0.2412 0.7697 0.1577  1 Mn 1.91, 3 Li 2.00-2.10
O: 0.7588 0.2303 0.8423  1 Mn 1.91, 3 Li 2.00-2.10
O: 0.7658 0.7171 0.3579  2 Mn 1.97, 2 Li 2.15-2.19
O: 0.7686 0.0944 0.2307  2 Mn 1.94-1.95, 2 Li 2.12-2.14
O: 0.7686 0.9656 0.6104  2 Mn 1.95-1.96, 2 Li 2.14-2.15
O: 0.7704 0.4638 0.1098  2 Mn 1.94-2.00, 2 Li 2.07-2.14
O: 0.7695 0.5936 0.7274  2 Mn 1.96-2.00, 2 Li 2.13-2.15
O: 0.7839 0.8236 0.9541  2 Mn 1.95-1.98, 3 Li 2.05-2.11
O: 0.7917 0.3316 0.4548  3 Mn 1.99-2.05, 2 Li 2.13-2.18

=====

Mn2HgC10O10 (PBE with a Hubbard U, relaxed); raw total energy = -7.30 eV/atom; theoretical density = 2.56 g/cm3; ΔH_f (0 K) = -765 meV per atom; ΔE to the lowest computed polymorph = 0.005 eV per atom
1.0
5.344 -3.195 -1.398
-4.217 -4.114 -2.455
1.247 5.306 -7.888
O C Hg Mn
10 10 1 2
Direct
0.359 0.258 0.729
0.501 0.738 0.930
0.719 0.399 0.512
0.641 0.742 0.271
0.499 0.262 0.070
0.741 0.931 0.631
0.259 0.069 0.369
0.123 0.585 0.157
0.281 0.601 0.488
0.877 0.415 0.843
0.273 0.088 0.741
0.727 0.912 0.259
0.774 0.314 0.407
0.973 0.571 0.811
0.226 0.686 0.593
0.891 0.888 0.682
0.027 0.429 0.189
0.109 0.112 0.318
0.642 0.232 0.134
0.358 0.768 0.866
0.000 0.000 0.000
0.133 0.815 0.758
0.867 0.185 0.242

=====

Entry 1:
! Sr3Ga3B4HO14, relaxed, DFT GGA-PBE; values from VASP
! * formation energy from the elements: -269.5 kJ/mol of atoms
! * crystal system: monoclinic
! * electronic total energy: -0.5108 Ry per atom
&SYSTEM
  ibrav = 0, nat = 50, ntyp = 5
/
ATOMIC_SPECIES
Sr 87.62 Sr.upf
Ga 69.72 Ga.upf
B 10.81 B.upf
H 1.01 H.upf
O 16.00 O.upf
CELL_PARAMETERS angstrom
4.954 0.000 0.000
0.000 13.909 0.000
-2.399 0.000 8.811
ATOMIC_POSITIONS angstrom
Sr -0.156 0.000 1.038
Sr 0.077 4.175 1.812
Sr 0.097 9.756 1.782
Sr 2.458 2.801 7.029
Sr 2.479 11.129 6.999
Sr 2.711 6.955 7.773
Ga 0.141 5.262 5.542
Ga 0.144 8.618 5.539
Ga 0.154 13.889 7.135
Ga 2.401 6.934 1.676
Ga 2.412 1.663 3.272
Ga 2.415 12.216 3.268
B -0.047 12.108 4.708
B -0.046 1.754 4.719
B 0.208 4.902 8.241
B 0.210 8.983 8.236
B 2.345 2.029 0.574
B 2.347 11.857 0.570
*/
Assignment:
Next, duplicate the whole of the contents earlier on without altering anything.
Reply:
Density functional theory data (PBE-GGA) for a geometry-optimized ErFe10Mo2 structure.

a = 4.740 Å, b = 8.521 Å, c = 8.548 Å
α = 90.00°, β = 90.00°, γ = 90.00°
Space group Immm (No. 71)
Symmetry-distinct sites (fractional):
1 Er 0.000 0.000 0.000 [2 per cell]
2 Fe 0.000 0.282 0.500 [4 per cell]
3 Fe 0.000 0.359 0.000 [4 per cell]
4 Fe 0.000 0.500 0.278 [4 per cell]
5 Fe 0.250 0.250 0.250 [8 per cell]
6 Mo 0.000 0.000 0.357 [4 per cell]

## Properties
DFT formation energy in meV per atom: -14
M_tot in μB per atom: 1.4468

=====

VASP calculation (PBE+U) on crystalline Li9Mn7O16 at its relaxed geometry.

Computed properties:
Relative energy among the computed polymorphs   8 meV per atom
Energy of formation from the pure elements   -206.2 kJ/mol of atoms

Lattice parameters (Å, degrees): 5.0946 7.6934 8.1335 79.98 86.06 72.64
Last column: nearest neighbours and their distance in Å.
Element x y z (fractional)
Li: 0.0000 0.0000 0.0000  6 O 2.08-2.26
Li: 0.4854 0.9391 0.1821  5 O 2.09-2.23
Li: 0.4902 0.6933 0.9389  6 O 2.05-2.25
Li: 0.4931 0.4381 0.6997  5 O 2.00-2.18
Li: 0.4987 0.8131 0.5669  6 O 2.13-2.21
Li: 0.5013 0.1869 0.4331  6 O 2.13-2.21
Li: 0.5069 0.5619 0.3003  5 O 2.00-2.18
Li: 0.5098 0.3067 0.0611  6 O 2.05-2.25
Li: 0.5146 0.0609 0.8179  5 O 2.09-2.23
Mn: 0.0000 0.5000 0.5000  4 O 1.97-1.99
Mn: 0.0013 0.8767 0.3685  5 O 1.95-2.17
Mn: 0.0043 0.2479 0.2447  6 O 1.94-2.05
Mn: 0.0062 0.6279 0.1228  4 O 1.91-2.00
Mn: 0.9938 0.3721 0.8772  4 O 1.91-2.00
Mn: 0.9957 0.7521 0.7553  6 O 1.94-2.05
Mn: 0.9987 0.1233 0.6315  5 O 1.95-2.17
O: 0.2083 0.6684 0.5452  3 Mn 1.99-2.05, 2 Li 2.13-2.18
O: 0.2161 0.1764 0.0459  2 Mn 1.95-1.98, 3 Li 2.05-2.11
O: 0.2305 0.4064 0.2726  2 Mn 1.96-2.00, 2 Li 2.13-2.15
O: 0.2296 0.5362 0.8902  2 Mn 1.94-2.00, 2 Li 2.07-2.14
O: 0.2314 0.0344 0.3896  2 Mn 1.95-1.96, 2 Li 2.14-2.15
O: 0.2314 0.9056 0.7693  2 Mn 1.94-1.95, 2 Li 2.12-2.14
O: 0.2342 0.2829 0.6421  2 Mn 1.97, 2 Li 2.15-2.19
O: 0.2412 0.7697 0.1577  1 Mn 1.91, 3 Li 2.00-2.10
O: 0.7588 0.2303 0.8423  1 Mn 1.91, 3 Li 2.00-2.10
O: 0.7658 0.7171 0.3579  2 Mn 1.97, 2 Li 2.15-2.19
O: 0.7686 0.0944 0.2307  2 Mn 1.94-1.95, 2 Li 2.12-2.14
O: 0.7686 0.9656 0.6104  2 Mn 1.95-1.96, 2 Li 2.14-2.15
O: 0.7704 0.4638 0.1098  2 Mn 1.94-2.00, 2 Li 2.07-2.14
O: 0.7695 0.5936 0.7274  2 Mn 1.96-2.00, 2 Li 2.13-2.15
O: 0.7839 0.8236 0.9541  2 Mn 1.95-1.98, 3 Li 2.05-2.11
O: 0.7917 0.3316 0.4548  3 Mn 1.99-2.05, 2 Li 2.13-2.18

=====

Mn2HgC10O10 (PBE with a Hubbard U, relaxed); raw total energy = -7.30 eV/atom; theoretical density = 2.56 g/cm3; ΔH_f (0 K) = -765 meV per atom; ΔE to the lowest computed polymorph = 0.005 eV per atom
1.0
5.344 -3.195 -1.398
-4.217 -4.114 -2.455
1.247 5.306 -7.888
O C Hg Mn
10 10 1 2
Direct
0.359 0.258 0.729
0.501 0.738 0.930
0.719 0.399 0.512
0.641 0.742 0.271
0.499 0.262 0.070
0.741 0.931 0.631
0.259 0.069 0.369
0.123 0.585 0.157
0.281 0.601 0.488
0.877 0.415 0.843
0.273 0.088 0.741
0.727 0.912 0.259
0.774 0.314 0.407
0.973 0.571 0.811
0.226 0.686 0.593
0.891 0.888 0.682
0.027 0.429 0.189
0.109 0.112 0.318
0.642 0.232 0.134
0.358 0.768 0.866
0.000 0.000 0.000
0.133 0.815 0.758
0.867 0.185 0.242

=====

Entry 1:
! Sr3Ga3B4HO14, relaxed, DFT GGA-PBE; values from VASP
! * formation energy from the elements: -269.5 kJ/mol of atoms
! * crystal system: monoclinic
! * electronic total energy: -0.5108 Ry per atom
&SYSTEM
  ibrav = 0, nat = 50, ntyp = 5
/
ATOMIC_SPECIES
Sr 87.62 Sr.upf
Ga 69.72 Ga.upf
B 10.81 B.upf
H 1.01 H.upf
O 16.00 O.upf
CELL_PARAMETERS angstrom
4.954 0.000 0.000
0.000 13.909 0.000
-2.399 0.000 8.811
ATOMIC_POSITIONS angstrom
Sr -0.156 0.000 1.038
Sr 0.077 4.175 1.812
Sr 0.097 9.756 1.782
Sr 2.458 2.801 7.029
Sr 2.479 11.129 6.999
Sr 2.711 6.955 7.773
Ga 0.141 5.262 5.542
Ga 0.144 8.618 5.539
Ga 0.154 13.889 7.135
Ga 2.401 6.934 1.676
Ga 2.412 1.663 3.272
Ga 2.415 12.216 3.268
B -0.047 12.108 4.708
B -0.046 1.754 4.719
B 0.208 4.902 8.241
B 0.210 8.983 8.236
B 2.345 2.029 0.574
B 2.347 11.857 0.570